Next, work out how many lines below have the word "of" in them; a number is enough.

____________
Starting from the PBE geometry in Alexandria, the powder XRD pattern of Si2Os3 was computed for Cu Kα X-rays.

Top 10 peaks for 2θ = 10–90°, in order of falling intensity:
| hkl | 2theta | I_rel |
| --- | --- | --- |
| 0 1 1 | 31.0 | 100 |
| 1 0 2 | 44.0 | 57 |
| 1 1 0 | 44.8 | 55 |
| 2 0 1 | 55.5 | 20 |
| 2 1 2 | 82.1 | 19 |
| 0 2 2 | 64.6 | 19 |
| 1 1 3 | 72.8 | 18 |
| 1 2 1 | 74.0 | 17 |
| 0 1 4 | 80.3 | 10 |
| 3 0 0 | 82.7 | 10 |

Cell and atoms:
a = 4.0442 Å, b = 4.0442 Å, c = 5.0873 Å
α = 90.00°, β = 90.00°, γ = 120.00°
Space group P-3m1 (No. 164)
Asymmetric unit:
Si 0.3333 0.6667 0.3046 [2 per cell]
____________

2